-- begin --
No. 1
ORCA calculation (ωB97M-V with the def2-TZVPD basis set) on the molecule C20H23FN4OS.

- HOMO level: -8.08 eV
- Max |F|: 0.86 eV Å⁻¹
- LUMO energy: 0.582 eV
- Frontier orbital gap: 8.7 eV
- Relative energy (zero: lowest compared OMol25 entry of this formula, charge and spin): 0.00 kJ/mol

Atoms and positions in Å:
S (-4.529, -0.774, -0.362)
F (1.742, -3.755, 1.771)
O (-0.063, -3.992, -0.178)
N (1.036, 1.576, -0.319)
N (4.926, 0.117, 0.279)
N (-1.448, 0.962, 0.914)
N (5.570, 1.278, 0.299)
C (2.697, -1.843, 0.801)
C (1.765, -2.855, 0.765)
C (1.823, -1.013, -1.267)
C (0.829, -2.975, -0.271)
C (-2.462, 0.016, 1.360)
C (4.690, 2.178, -0.096)
C (-1.054, -4.108, -1.170)
C (2.723, -0.888, -0.215)
C (2.196, 2.279, -0.826)
C (-5.888, 0.265, -0.546)
C (-1.272, 0.912, -0.527)
C (-0.184, 0.702, 1.578)
C (-5.774, 1.385, 0.209)
C (3.452, 1.590, -0.397)
C (-4.575, 1.416, 0.958)
C (0.894, -2.038, -1.298)
C (3.643, 0.236, -0.146)
C (-0.211, 1.914, -0.966)
C (-3.794, 0.321, 0.764)
C (0.871, 1.698, 1.113)
H (-4.298, 2.220, 1.615)
H (1.848, -0.299, -2.072)
H (-0.333, 0.801, 2.656)
H (-1.686, -3.214, -1.215)
H (0.211, -2.101, -2.130)
H (2.231, 3.333, -0.493)
H (4.962, 3.213, -0.154)
H (0.559, 2.719, 1.397)
H (-0.962, -0.096, -0.852)
H (-2.526, 0.098, 2.450)
H (3.370, -1.788, 1.643)
H (0.177, -0.320, 1.364)
H (-2.225, 1.160, -1.001)
H (2.136, 2.285, -1.921)
H (-6.517, 2.162, 0.237)
H (-0.547, 2.935, -0.709)
H (-1.662, -4.962, -0.876)
H (-0.084, 1.852, -2.050)
H (5.407, -0.732, 0.529)
H (1.820, 1.474, 1.603)
H (-0.617, -4.297, -2.156)
H (-6.685, -0.025, -1.201)
H (-2.180, -1.024, 1.111)

***

No. 2
ORCA calculation (ωB97M-V with the def2-TZVPD basis set) on the molecule C20H23N3.

- HOMO level: -7.51 eV
- Max |F|: 4.80 eV Å⁻¹
- LUMO energy: 0.787 eV
- Frontier orbital gap: 8.3 eV
- Relative energy (zero: lowest compared OMol25 entry of this formula, charge and spin): 291.23 kJ/mol

Atoms and positions in Å:
N (-0.433, -4.038, -0.270)
N (-1.368, 3.605, 0.297)
N (1.059, 1.453, 2.741)
C (-0.990, -3.041, -2.852)
C (-0.800, 4.450, 1.325)
C (-0.305, -2.743, -0.589)
C (-0.543, -2.156, -1.863)
C (-0.661, -6.303, -1.244)
C (1.088, 0.709, 0.585)
C (-1.893, 5.409, 1.754)
C (2.438, -0.442, 2.191)
C (-0.373, -0.699, -2.134)
C (0.991, 0.032, -1.972)
C (1.558, 0.514, 1.892)
C (1.568, 0.006, -0.514)
C (-1.043, -4.434, -2.676)
C (-0.505, 2.568, -0.306)
C (0.207, 1.794, 0.760)
C (2.491, -0.976, -0.197)
C (-0.729, -4.860, -1.407)
C (2.825, -1.285, 1.216)
C (-0.538, 3.383, 2.461)
C (0.273, 2.261, 2.030)
H (-1.385, -6.768, -1.775)
H (2.614, -0.478, 3.212)
H (-1.382, 6.256, 2.240)
H (1.491, 1.723, 3.721)
H (0.881, 1.106, -2.304)
H (-1.076, -2.680, -3.844)
H (0.007, 3.117, -0.967)
H (0.045, 5.001, 1.005)
H (-0.090, -2.088, 0.215)
H (-2.271, 3.172, 0.498)
H (-2.436, 5.810, 0.891)
H (-1.236, -5.224, -3.385)
H (-1.146, 1.998, -0.879)
H (2.732, -1.809, -0.872)
H (3.532, -2.077, 1.457)
H (0.260, -6.417, -1.775)
H (0.012, 3.926, 3.318)
H (-2.646, 4.935, 2.275)
H (-0.797, -0.472, -3.132)
H (-1.081, -0.241, -1.347)
H (1.693, -0.500, -2.627)
H (-1.396, 2.975, 2.969)
H (-0.639, -6.470, -0.123)

***

No. 3
ORCA calculation (ωB97M-V with the def2-TZVPD basis set) on the molecule C20H23N3O3.

- HOMO level: -8.62 eV
- Max |F|: 0.81 eV Å⁻¹
- LUMO energy: 0.687 eV
- Frontier orbital gap: 9.3 eV
- Relative energy (zero: lowest compared OMol25 entry of this formula, charge and spin): 194.37 kJ/mol

Atoms and positions in Å:
O (1.093, -3.151, 0.887)
O (-2.357, 0.574, -1.752)
O (0.419, 0.244, 1.753)
N (-0.753, -1.226, 0.503)
N (-0.541, 2.706, -1.051)
N (-1.012, 1.677, -0.271)
C (-0.814, -7.404, 2.204)
C (-0.542, -5.959, 2.495)
C (3.620, 4.231, -2.482)
C (0.409, -3.829, 1.867)
C (-0.974, -5.391, 3.691)
C (0.843, 4.417, -2.554)
C (-1.814, 0.669, -0.669)
C (1.582, 5.228, -1.705)
C (-1.312, 3.442, -1.738)
C (-0.718, -4.063, 3.963)
C (-0.029, -3.269, 3.058)
C (2.963, 5.137, -1.669)
C (0.147, -5.170, 1.592)
C (2.890, 3.415, -3.329)
C (-2.807, 3.391, -1.778)
C (1.491, -1.828, 1.149)
-- stop --
Please repeat the lines above up to the one that holds "(1.558, 0.514,", that line included.
No. 1
ORCA calculation (ωB97M-V with the def2-TZVPD basis set) on the molecule C20H23FN4OS.

- HOMO level: -8.08 eV
- Max |F|: 0.86 eV Å⁻¹
- LUMO energy: 0.582 eV
- Frontier orbital gap: 8.7 eV
- Relative energy (zero: lowest compared OMol25 entry of this formula, charge and spin): 0.00 kJ/mol

Atoms and positions in Å:
S (-4.529, -0.774, -0.362)
F (1.742, -3.755, 1.771)
O (-0.063, -3.992, -0.178)
N (1.036, 1.576, -0.319)
N (4.926, 0.117, 0.279)
N (-1.448, 0.962, 0.914)
N (5.570, 1.278, 0.299)
C (2.697, -1.843, 0.801)
C (1.765, -2.855, 0.765)
C (1.823, -1.013, -1.267)
C (0.829, -2.975, -0.271)
C (-2.462, 0.016, 1.360)
C (4.690, 2.178, -0.096)
C (-1.054, -4.108, -1.170)
C (2.723, -0.888, -0.215)
C (2.196, 2.279, -0.826)
C (-5.888, 0.265, -0.546)
C (-1.272, 0.912, -0.527)
C (-0.184, 0.702, 1.578)
C (-5.774, 1.385, 0.209)
C (3.452, 1.590, -0.397)
C (-4.575, 1.416, 0.958)
C (0.894, -2.038, -1.298)
C (3.643, 0.236, -0.146)
C (-0.211, 1.914, -0.966)
C (-3.794, 0.321, 0.764)
C (0.871, 1.698, 1.113)
H (-4.298, 2.220, 1.615)
H (1.848, -0.299, -2.072)
H (-0.333, 0.801, 2.656)
H (-1.686, -3.214, -1.215)
H (0.211, -2.101, -2.130)
H (2.231, 3.333, -0.493)
H (4.962, 3.213, -0.154)
H (0.559, 2.719, 1.397)
H (-0.962, -0.096, -0.852)
H (-2.526, 0.098, 2.450)
H (3.370, -1.788, 1.643)
H (0.177, -0.320, 1.364)
H (-2.225, 1.160, -1.001)
H (2.136, 2.285, -1.921)
H (-6.517, 2.162, 0.237)
H (-0.547, 2.935, -0.709)
H (-1.662, -4.962, -0.876)
H (-0.084, 1.852, -2.050)
H (5.407, -0.732, 0.529)
H (1.820, 1.474, 1.603)
H (-0.617, -4.297, -2.156)
H (-6.685, -0.025, -1.201)
H (-2.180, -1.024, 1.111)

***

No. 2
ORCA calculation (ωB97M-V with the def2-TZVPD basis set) on the molecule C20H23N3.

- HOMO level: -7.51 eV
- Max |F|: 4.80 eV Å⁻¹
- LUMO energy: 0.787 eV
- Frontier orbital gap: 8.3 eV
- Relative energy (zero: lowest compared OMol25 entry of this formula, charge and spin): 291.23 kJ/mol

Atoms and positions in Å:
N (-0.433, -4.038, -0.270)
N (-1.368, 3.605, 0.297)
N (1.059, 1.453, 2.741)
C (-0.990, -3.041, -2.852)
C (-0.800, 4.450, 1.325)
C (-0.305, -2.743, -0.589)
C (-0.543, -2.156, -1.863)
C (-0.661, -6.303, -1.244)
C (1.088, 0.709, 0.585)
C (-1.893, 5.409, 1.754)
C (2.438, -0.442, 2.191)
C (-0.373, -0.699, -2.134)
C (0.991, 0.032, -1.972)
C (1.558, 0.514, 1.892)